How To Calculate Pips

Misplaced crystal structures =
********
[1]
This record from Materials Project describes a relaxed structure of In10Pb6S21. The functional is GGA-PBE.

a = 14.136 Å, b = 14.136 Å, c = 15.940 Å
α = 84.83°, β = 84.83°, γ = 15.92°
Fractional coordinates of all 37 atoms:
S (0.026, 0.026, 0.764)
S (0.579, 0.579, 0.127)
S (0.421, 0.421, 0.873)
S (0.672, 0.672, 0.239)
S (0.849, 0.849, 0.565)
S (0.602, 0.602, 0.904)
S (0.398, 0.398, 0.096)
S (0.328, 0.328, 0.761)
S (0.804, 0.804, 0.976)
S (0.281, 0.281, 0.188)
S (0.000, 0.000, 0.000)
S (0.764, 0.764, 0.402)
S (0.618, 0.618, 0.633)
S (0.535, 0.535, 0.407)
S (0.719, 0.719, 0.812)
S (0.974, 0.974, 0.236)
S (0.196, 0.196, 0.024)
S (0.465, 0.465, 0.593)
S (0.151, 0.151, 0.435)
S (0.382, 0.382, 0.367)
S (0.236, 0.236, 0.598)
In (0.513, 0.513, 0.871)
In (0.900, 0.900, 0.981)
In (0.312, 0.312, 0.485)
In (0.265, 0.265, 0.892)
In (0.785, 0.785, 0.692)
In (0.215, 0.215, 0.308)
In (0.487, 0.487, 0.129)
In (0.735, 0.735, 0.108)
In (0.688, 0.688, 0.515)
In (0.100, 0.100, 0.019)
Pb (0.074, 0.074, 0.294)
Pb (0.863, 0.863, 0.241)
Pb (0.137, 0.137, 0.759)
Pb (0.926, 0.926, 0.706)
Pb (0.950, 0.950, 0.432)
Pb (0.050, 0.050, 0.568)

Output
* corrected total energy (MP2020 scheme): -4.50 eV per atom
* formation energy: -0.8058 eV/atom
* ΔE to the lowest computed polymorph: 1.1 kJ/mol of atoms

[2]
This record from Materials Project describes a relaxed structure of In9Pb4S17. The functional is GGA-PBE.

a = 3.905 Å, b = 15.488 Å, c = 23.026 Å
α = 90.00°, β = 90.00°, γ = 90.00°
Fractional coordinates of all 60 atoms:
S (0.000, 0.398, 0.873)
S (0.500, 0.567, 0.433)
S (0.000, 0.787, 0.460)
S (0.500, 0.104, 0.657)
S (0.000, 0.868, 0.071)
S (0.000, 0.021, 0.790)
S (0.500, 0.067, 0.067)
S (0.000, 0.979, 0.210)
S (0.500, 0.500, 0.000)
S (0.000, 0.287, 0.040)
S (0.500, 0.781, 0.194)
S (0.000, 0.692, 0.318)
S (0.500, 0.396, 0.157)
S (0.500, 0.719, 0.694)
S (0.500, 0.604, 0.843)
S (0.000, 0.713, 0.960)
S (0.500, 0.000, 0.500)
S (0.500, 0.896, 0.343)
S (0.000, 0.808, 0.818)
S (0.000, 0.479, 0.290)
S (0.000, 0.898, 0.627)
S (0.000, 0.213, 0.540)
S (0.500, 0.433, 0.567)
S (0.500, 0.281, 0.306)
S (0.000, 0.308, 0.682)
S (0.000, 0.632, 0.571)
S (0.000, 0.368, 0.429)
S (0.500, 0.219, 0.806)
S (0.000, 0.132, 0.929)
S (0.000, 0.102, 0.373)
S (0.000, 0.602, 0.127)
S (0.000, 0.521, 0.710)
S (0.000, 0.192, 0.182)
S (0.500, 0.933, 0.933)
Pb (0.500, 0.092, 0.281)
Pb (0.500, 0.295, 0.936)
Pb (0.500, 0.408, 0.781)
Pb (0.500, 0.705, 0.064)
Pb (0.500, 0.592, 0.219)
Pb (0.500, 0.795, 0.564)
Pb (0.500, 0.908, 0.719)
Pb (0.500, 0.205, 0.436)
In (0.500, 0.567, 0.636)
In (0.000, 0.000, 0.000)
In (0.500, 0.731, 0.390)
In (0.000, 0.168, 0.739)
In (0.000, 0.332, 0.239)
In (0.000, 0.500, 0.500)
In (0.500, 0.433, 0.364)
In (0.000, 0.051, 0.578)
In (0.000, 0.668, 0.761)
In (0.500, 0.231, 0.110)
In (0.500, 0.269, 0.610)
In (0.000, 0.449, 0.078)
In (0.000, 0.832, 0.261)
In (0.500, 0.769, 0.890)
In (0.000, 0.949, 0.422)
In (0.000, 0.551, 0.922)
In (0.500, 0.933, 0.136)
In (0.500, 0.067, 0.864)

Output
********
What are pip how do you calculate your value per pip on your profits and losses. I’m gonna talk about that today.So once the pip is the smallest movement in a currency pair, now pip is actually a short form because it actually stands for percentage in points. Exchange rates are total in either two decimal places or four decimal places meaning that one pip is 0.01 of the price one pip is equal to zero point zero zero zero 1 of the price so which are currency pairs that are coated two decimal places and which I’ll concede pairs that are coated at four decimal places so why do you need to know this because you need this to calculate your value per pip later on and why do you need the four because you need that to calculate your profit and also your position size for you to remember it easily so they don’t memorize it one by one currencies with the yen in it would be coated at two decimal places where’s the rest of the currency pairs they will be quoted at four decimal places so if I take dollar yen for example okay because you see again right here in this pair then one pip would be equal to 0.01 so to give you an example how do you calculate the amount of pips so let’s take for example say today the price of dollar yen earlier in the morning it was at about one one 0.294 okay and then right now it is about one one zero point six five eight so if you calculate how many pips did it move from this morning all the way to right now based on this two decimal places one one zero point six five minus one one zero point two nine you realize that I ignore the last number because most empty four platforms they give you and at this number so when you calculate this you will get 36 pips movement well if you go to empty for you use the crosshair function you will get the number 360 that’s actually 360 points but your contents or pips it will be 36 pips but then again if you want to be more specific then you can add in the last number four and eight okay so when I put this in and four you get the D six point four pips so let’s take an example your dollar okay we are near. Take your dollar would be quoted in for the small pieces okay 0.001 so let’s say if you make a sell trick at one point one five seven nine three and then you take your profit at one point one five three six five how many pips did you just harvest the same thing again we ignore the last number because most empty four platforms they would have an extra number the back alleged using a different form different broker so we take one point one five seven nine minus one point one five three six okay we are math 9-6 three then for the trip you put in the last number three and five point true now do your math in mind 610 would be forty two point two pips okay for the two point two pips so before I talk about value per pip for different country pairs you need to understand the number units per lot first once their lot would be hundred thousand units right after that you have one mini lot where your training ten thousand units of the base country well today you have one micro lot we’re trading 1000 units of the base currency and followed by that you have not hundred units of the base currency so to give you an example so when you buy one lot, you’re always buying the base currency so for example if you buy one standard  lot of your dollar what you’re doing is that you are buying 100 of Euro with u.s. dollar now that you have known oh these things nice time to calculate the value per pip all right so the formula goes like this depending on the can see pair with us tool of all this what pays us you need to determine what is the decimal place of that currency pair then times that with your tree size where that’s hundred thousand units 10,000 units divide that by the current exchange rate or current market price meaning that this is where you look at a chart and determine okay what price is your dollar at right now what price is dollar yen at right now and here’s the good news nowadays you don’t need to calculate this yourself manually because number one what people are very lazy number two a lot of people are very busy number three a lot of people calculate wrongly when there is an online calculator and it’s there for free you use it when there’s something that’s given to you for free you take it so why don’t you have you this formula for is just for you to double confirm let’s say if you don’t trust the online calculator that some random person gives you or if you’ll know if your computer then you can calculate it manually let’s say when you’re traveling you’re using your phone to trade then you calculate this manually to give you an example .

Between two parts of the entry: calculated crystals =
┌──
1.
# CaNdMn2O6 | the Materials Project database | PBE with a Hubbard U | optimized geometry
# - energy relative to the lowest polymorph listed for this composition (meV per atom) = 1
# - E (eV per cell) = -149.67
# - E_form (eV/atom) = -2.751
# - magnetization (μB per cell) = 14.000
data_CaNdMn2O6
_chemical_formula_sum 'Ca2 Nd2 Mn4 O12'
_space_group_name_H-M_alt 'P m c 21'
_space_group_IT_number 26
_space_group_name_Hall 'P 2c -2'
_cell_length_a 7.679
_cell_length_b 5.462
_cell_length_c 5.520
_cell_angle_alpha 90.00
_cell_angle_beta 90.00
_cell_angle_gamma 90.00
loop_
_atom_site_label
_atom_site_type_symbol
_atom_site_fract_x
_atom_site_fract_y
_atom_site_fract_z
_atom_site_occupancy
Ca1 Ca 0.000 0.241 0.000 1
Nd1 Nd 0.500 0.258 0.918 1
Mn1 Mn 0.244 0.249 0.461 1
O1 O 0.000 0.334 0.435 1
O2 O 0.214 0.043 0.755 1
O3 O 0.297 0.469 0.179 1
O4 O 0.500 0.175 0.475 1

2.
# Ca3NdMn4O12 | the Materials Project database | PBE with a Hubbard U | optimized geometry
# - E (eV per cell) = -144.55
# - E_form (eV/atom) = -2.633
# - magnetization (μB per cell) = 13.001
data_Ca3NdMn4O12
_chemical_formula_sum 'Ca3 Nd1 Mn4 O12'
_space_group_name_H-M_alt 'P 1 m 1'
_space_group_IT_number 6
_space_group_name_Hall 'P -2y'
_cell_length_a 5.387
_cell_length_b 7.690
_cell_length_c 5.442
_cell_angle_alpha 90.00
_cell_angle_beta 90.26
_cell_angle_gamma 90.00
loop_
_atom_site_label
_atom_site_type_symbol
_atom_site_fract_x
_atom_site_fract_y
_atom_site_fract_z
_atom_site_occupancy
Ca1 Ca 0.000 0.000 0.000 1
Ca2 Ca 0.013 0.500 0.919 1
Ca3 Ca 0.513 0.000 0.503 1
Nd1 Nd 0.497 0.500 0.420 1
Mn1 Mn 0.005 0.246 0.462 1
Mn2 Mn 0.508 0.247 0.961 1
O1 O 0.081 0.000 0.437 1
O2 O 0.220 0.295 0.175 1
O3 O 0.298 0.287 0.672 1
O4 O 0.430 0.000 0.943 1
O5 O 0.581 0.500 0.973 1
O6 O 0.708 0.214 0.259 1
O7 O 0.801 0.211 0.755 1
O8 O 0.938 0.500 0.478 1

3.
# Ca6Nd6ScMn11O36 | the Materials Project database | PBE with a Hubbard U | optimized geometry
# - E (eV per cell) = -452.07
# - E_form (eV/atom) = -2.821
# - magnetization (μB per cell) = 38.000
data_Ca6Nd6ScMn11O36
_chemical_formula_sum 'Ca6 Nd6 Sc1 Mn11 O36'
_space_group_name_H-M_alt 'P 1'
_space_group_IT_number 1
_space_group_name_Hall 'P 1'
_cell_length_a 5.460
_cell_length_b 5.516
_cell_length_c 23.168
_cell_angle_alpha 89.99
_cell_angle_beta 89.93
_cell_angle_gamma 89.99
loop_
_atom_site_label
_atom_site_type_symbol
_atom_site_fract_x
_atom_site_fract_y
_atom_site_fract_z
_atom_site_occupancy
Ca1 Ca 0.000 0.000 0.000 1
Ca2 Ca 0.000 0.000 0.329 1
Ca3 Ca 0.480 0.499 0.328 1
Ca4 Ca 0.499 0.416 0.839 1
Ca5 Ca 0.500 0.417 0.168 1
Ca6 Ca 0.980 0.918 0.840 1
Nd1 Nd 0.004 0.997 0.674 1
Nd2 Nd 0.481 0.500 0.001 1
Nd3 Nd 0.483 0.499 0.673 1
Nd4 Nd 0.498 0.418 0.495 1
Nd5 Nd 0.977 0.921 0.494 1
Nd6 Nd 0.982 0.917 0.167 1
Sc1 Sc 0.990 0.459 0.584 1
Mn1 Mn 0.487 0.958 0.412 1
Mn2 Mn 0.490 0.960 0.918 1
Mn3 Mn 0.490 0.961 0.084 1
Mn4 Mn 0.491 0.958 0.250 1
Mn5 Mn 0.491 0.959 0.584 1
Mn6 Mn 0.495 0.958 0.756 1
Mn7 Mn 0.988 0.457 0.756 1
└──
Hope this will help you calculate Pip value in Forex.